”There was, as in the fairy tales,
As ne’er in the time’s raid,
There was, of famous royal blood
A most beautiful maid.
She was her parents’ only child,
Bright like the sun at noon,
And like the virgin midst the saints
And among stars the moon.
From the deep shadow of the vaults
Her step now she directs
Toward a window: at its nook
Bright Lucifer expects.
She looks as in the distant seas
He rises, darts his rays
And leads the blackish, loaded ships
On the wet, moving, ways.
To look at him every night
Her soul her instincts spur;
And as he looks at her for weeks
He falls in love with her.
And as on her elbows she leans
Her temple and her whim
She feels in her heart and soul that
She falls in love with him.
And ev’ry night his stormy flames
More stormily renew
When in the shadow of the castle
She shows to his bright view.
And to her room with her slow steps
He bears his steps and aims
Weaving out of his sparkles cold
A toil of shaking flames.
And when she throws upon her bed
Her tired limbs and reposes,
He glides his hand along her breast
And her sweet eyelash closes.
And from her mirror on her shape
A beam has spread and burns,
On her big eyes that beat though closed
And on her face that turns.
Her smiles view him; the mirror shows
Him trembling in the nook
For he is plunging in her dreem
So that their souls may hook
She speaks with him in sleep and sighs
While her heart’s swelled veins drum:
«– O, sweet Lord of my fairy nights,
Why comest thou not? Come!
Descent to me, mild Lucifer,
Thou canst glide on a beam,
Enter my dwelling and my mind
And over my life gleam!» […]”
Traducere în limba engleză de Dimitrie Cuclin. Transcriere de Maria Cuconoiu
”Det var en gång, berättas det,
I sagorna besjungen
En prinsessa som alla vet
Som gåva fötts till kungen
Hans enda barn och gunstling fin
Den fagraste av tärnor
Jungfruglig uti tärnors ring
Som månen ibland stjärnor.
Från slottgemaket ses hon gå
Var kväll hon stegen vänder
Mot fönstret dit Hesperos då
Sin mörka skuggbild sänder.
Han över havet svävar ner
Och sprider sina strålars glans
Där svarta skeppen sig beger
Över vågor någonstans.
Var natt hans stjärna lyser klar
Av längtan själen fylles
Och kärlek het blir Hesperos svar
När månens sken förgylles.
Sitt huvud stilla lutar hon
Mot snövit hand i drömmar
Oss ljuvt förvillar kärlekstron
Till hennes själ den strömmar.
Var afton så hans stjärna klar
Till prinsessan kommer in
I fönstret syns, och hon så rar
I hans öga blickar in. […]”
Traducere în limba suedeză de Ion Miloș
L’astre du soir (Luceafărul)
”[…] Hyperion, d’en haut, voit tout:
Comme eux-mêmes se surprennent!
À peine il a touché son cou,
Qu’elle en ses bras l’entraîne !
Les vieux tilleuls effeuillent leurs fleurs
En embaumant le monde,
Et de pétales s’attachent à leurs
Luisantes tresses blondes.
Ivre d’amour elle lève ses yeux,
En frémissant sans cesse.
Voyant l’Astre du Soir aux cieux,
Ses vieux désirs renaissent.
«Que le charme froid de tes rayons
Pénètre ma pensée
Pour que la flamme de mes passions
S’éteigne toute apaisée
Reste au dessus de moi toujours
Et ma douleur achève,
Car tu es mon premier amour
Et mon dernier beau rêve.
Astre suave descends des cieux
Sur un rai de lumière,
Apporte en cette forêt tes feux,
Et ma bonne chance éclaire!»
Quand il l’entend, il tremble encor
Une fois. L’océan se ride,
Mais l’Astre mène vers leur bon port
Les grands bateaux qu’il guide.
Il ne quitte plus le ciel cette nuit
Et l’univers s’apaise:
«Que ce soit moi ou bien autrui,
T’importe image de glaise?
Vivez dans votre coin étroit
Vos chances éphémères
Next to the piece, the page also holds materials data.
'''
## Na2Pr2MgTi2O8 (GGA-PBE)

Data for crystalline Na2Pr2MgTi2O8 at its relaxed geometry.

E_form in eV per atom: -3.02
Offset from the most stable computed form in kJ per mole of atoms: 0.0
Symmetry: Cm, No. 8

Unit cell a=3.6876 b=3.6876 c=16.4586 alpha=94.93 beta=85.07 gamma=90.09
Closest atoms and distances in Å follow each position.
Element x y z (fractional)
Na  0.7195  0.7805  0.4150  4 O 2.34-2.61
Na  0.1698  0.3302  0.5432  1 O 2.31
Pr  0.8203  0.6797  0.1543  8 O 2.39-2.67
Pr  0.3973  0.1027  0.9783  2 O 2.30-2.56
O  0.6084  0.3920  0.7053  2 Ti 1.94, 2 Mg 2.14-2.15
O  0.6642  0.8358  0.5585  1 Ti 1.78
O  0.2266  0.2734  0.4016  1 Ti 1.78
O  0.3294  0.1706  0.1193  1 Pr 2.30
O  0.1080  0.8916  0.7053  2 Ti 1.94, 2 Mg 2.14-2.15
O  0.7809  0.2184  0.2578  2 Ti 1.93
O  0.2816  0.7191  0.2578  2 Ti 1.93
O  0.8684  0.6316  0.0079  4 Pr 2.39-2.65
Mg  0.0818  0.4182  0.7722  4 O 2.14-2.15
Ti  0.2676  0.2324  0.2926  5 O 1.78-1.93
Ti  0.6226  0.8774  0.6675  5 O 1.78-1.94

---

## Lu6Ta4Al43 (GGA-PBE)

Data for crystalline Lu6Ta4Al43 at its relaxed geometry.

E_form in eV per atom: -0.29
Symmetry: P6_3/mcm, No. 193

Unit cell a=11.1224 b=11.1224 c=17.6200 alpha=90.00 beta=90.00 gamma=120.00
Closest atoms and distances in Å follow each position.
Element x y z (fractional)
Al  0.5955  0.4457  0.2500  1 Ta 2.69, 7 Al 2.74-2.89
Al  0.8430  0.6049  0.1629  8 Al 2.73-3.06, 1 Ta 2.76, 1 Lu 3.05
Al  0.3333  0.6667  0.3739  9 Al 2.73-2.82
Al  0.3951  0.1570  0.6629  8 Al 2.73-3.06, 1 Ta 2.76, 1 Lu 3.05
Al  0.2470  0.7530  0.0000  8 Al 2.75-3.06
Al  0.8430  0.2381  0.6629  8 Al 2.73-3.06, 1 Ta 2.76, 1 Lu 3.05
Al  0.7430  0.7430  0.5304  9 Al 2.75-3.05, 1 Ta 2.91
Al  0.3333  0.6667  0.6261  9 Al 2.73-2.82
Al  0.4045  0.8502  0.2500  1 Ta 2.69, 7 Al 2.74-2.89
Al  0.5955  0.1498  0.7500  1 Ta 2.69, 7 Al 2.74-2.89
Al  0.0000  0.7430  0.4696  9 Al 2.75-3.05, 1 Ta 2.91
Al  0.8502  0.4457  0.7500  1 Ta 2.69, 7 Al 2.74-2.89
Al  0.1594  0.1594  0.8850  2 Ta 2.69-2.70, 7 Al 2.77-2.93
Al  0.6667  0.3333  0.1261  9 Al 2.73-2.82
Al  0.1474  0.0000  0.7500  2 Ta 2.65, 10 Al 2.84-2.93
Al  0.2570  0.2570  0.0304  9 Al 2.75-3.05, 1 Ta 2.91
Al  0.0000  0.1594  0.1150  2 Ta 2.69-2.70, 7 Al 2.77-2.93
Al  0.8430  0.6049  0.3371  8 Al 2.73-3.06, 1 Ta 2.76, 1 Lu 3.05
Al  0.4941  0.2470  0.0000  8 Al 2.75-3.06
Al  0.1498  0.5543  0.2500  1 Ta 2.69, 7 Al 2.74-2.89
Al  0.2570  0.0000  0.5304  9 Al 2.75-3.05, 1 Ta 2.91
Al  0.2570  0.2570  0.4696  9 Al 2.75-3.05, 1 Ta 2.91
Al  0.2381  0.8430  0.6629  8 Al 2.73-3.06, 1 Ta 2.76, 1 Lu 3.05
Al  0.5059  0.7530  0.5000  8 Al 2.75-3.06
Al  0.7619  0.1570  0.3371  8 Al 2.73-3.06, 1 Ta 2.76, 1 Lu 3.05
Al  0.1570  0.3951  0.6629  8 Al 2.73-3.06, 1 Ta 2.76, 1 Lu 3.05
Al  0.0000  0.8406  0.8850  2 Ta 2.69-2.70, 7 Al 2.77-2.93
Al  0.1570  0.7619  0.3371  8 Al 2.73-3.06, 1 Ta 2.76, 1 Lu 3.05
Al  0.3333  0.6667  0.1261  9 Al 2.73-2.82
Al  0.0000  0.8406  0.6150  2 Ta 2.69-2.70, 7 Al 2.77-2.93
'''
Tandis que, immortel et froid,
Je reste dans ma sphère!».”
Traducere în limba franceză de Dan Solomon, 1983
Satire III (Scrisoarea a III-a)
”[…] Are you then Rome’s descendants, you eunuchs and no men?
If you were men in earnest, pity it were that then
This hungry plague of locusts, these creatures crazed and lame
Dare part their lips in public and flatter without shame
Our nations majesty, and make it odious stand,
Dare even speak thy name… o miserable land!
In Paris pleasure houses, there has your congress been;
With jaded, worthless women, in revelry obscene,
In sloth and vulgar rioting you wasted wealth and youth;
In you what could develop, that empty are in sooth?
And, coming back, for wisdom a perfume flask you brought,
A monocle you flourished, a cane for sword you bought.
Withered up before your time, yet childish in your brain,
For scientific knowledge a Bal-Mabil refrain,
And all your father’s riches spent on some harlot’s shoe:
O admirable and worthy offspring of Romans, you!
And now just look with horror on faces sceptic cold,
What wonder that your falsehoods no more persuasion hold?
Materials data from another source follow.
- - -
Record 1
Here is a relaxed structure of ErPd2 from Materials Project. Energies are from GGA-PBE.

Geometry as extended XYZ:
```
3
Lattice="2.252 -4.471 0.276 0.409 -1.636 4.722 -3.811 1.790 -2.722" Properties=species:S:1:pos:R:3 pbc="T T T"
Er 0.000 0.000 0.000
Pd -0.115 -2.867 0.027
Pd -1.036 -1.450 2.249
```

SG: I4/mmm


Record 2
Here is a relaxed structure of Er3Pd4 from Materials Project. Energies are from GGA-PBE.

Geometry as extended XYZ:
```
14
Lattice="4.251 -6.584 0.000 4.251 6.584 0.000 -5.945 0.000 5.106" Properties=species:S:1:pos:R:3 pbc="T T T"
Er 0.162 -2.488 1.428
Er -1.101 1.672 2.061
Er 2.752 0.816 0.131
Er 2.395 2.488 3.678
Er 3.658 -1.672 3.046
Er -0.195 -0.816 4.975
Pd 0.000 0.000 0.000
Pd 1.279 0.000 2.553
Pd -2.058 -1.080 2.817
Pd 1.265 3.226 1.153
Pd 2.938 -2.146 0.315
Pd 4.615 1.080 2.290
Pd 1.292 -3.226 3.954
Pd -0.381 2.146 4.791
```

SG: R-3


Record 3
Here is a relaxed structure of ErPd3 from Materials Project. Energies are from GGA-PBE.

Geometry as extended XYZ:
```
4
Lattice="-3.294 2.189 1.119 -0.545 -2.474 3.236 2.397 2.445 2.273" Properties=species:S:1:pos:R:3 pbc="T T T"
Er 0.000 0.000 0.000
Pd -0.448 2.317 1.696
Pd 0.926 -0.014 2.755
Pd -1.919 -0.143 2.177
```

SG: Pm-3m


Record 4
Here is a relaxed structure of Er3Pd2 from Materials Project. Energies are from GGA-PBE.

Geometry as extended XYZ:
```
10
Lattice="7.726 0.000 0.000 0.000 7.726 0.000 0.000 0.000 3.940" Properties=species:S:1:pos:R:3 pbc="T T T"
Er 6.461 5.128 1.970
Er 2.598 6.461 1.970
Er 1.265 2.598 1.970
Er 5.128 1.265 1.970
Er 3.863 3.863 0.000
Er 0.000 0.000 0.000
Pd 1.040 4.903 0.000
Pd 4.903 6.687 0.000
Pd 2.824 1.040 0.000
Pd 6.687 2.824 0.000
```

SG: P4/mbm


Record 5
Here is a relaxed structure of PmErPd2 from Materials Project. Energies are from GGA-PBE.

Geometry as extended XYZ:
```
4
Lattice="0.000 3.551 3.551 3.551 0.000 3.551 3.551 3.551 0.000" Properties=species:S:1:pos:R:3 pbc="T T T"
Pm 0.000 0.000 0.000
Er 3.551 3.551 3.551
Pd 1.775 1.775 1.775
Pd 5.326 5.326 5.326
```

SG: Fm-3m


Record 6
Here is a relaxed structure of Er2PdRu from Materials Project. Energies are from GGA-PBE.

Geometry as extended XYZ:
```
4
Lattice="-4.293 -2.224 -0.193 -3.911 2.416 -1.511 -1.989 -1.052 -4.284" Properties=species:S:1:pos:R:3 pbc="T T T"
Er -2.548 -0.215 -1.497
Er -7.645 -0.645 -4.491
Pd -5.096 -0.430 -2.994
Ru 0.000 0.000 0.000
```

SG: Fm-3m


Record 7
Here is a relaxed structure of ErPd3S4 from Materials Project. Energies are from GGA-PBE.

Geometry as extended XYZ:
```
16
Lattice="-4.998 2.873 3.408 -4.379 -4.117 -2.952 0.828 -4.432 4.951" Properties=species:S:1:pos:R:3 pbc="T T T"
Er -4.274 -2.838 2.703
Er 0.000 0.000 0.000
Pd -1.878 -1.888 5.417
Pd -0.681 -3.245 1.737
Pd -5.938 0.096 1.079
Pd -2.292 0.328 2.942
Pd -2.870 -5.304 0.261
Pd -3.439 -1.340 -0.624
S -4.222 -2.199 5.531
S -4.327 -3.477 -0.125
S -6.826 -2.041 1.579
S -1.723 -3.635 3.827
S -3.913 -5.693 2.351
S -4.636 0.017 3.055
S -2.137 -1.419 1.352
S -6.412 -4.257 4.055
- - -
When those who speak fine phrases and lofty sermons give
Would simply fill their pockets, that they may lazy live,
Today the polished discourse does little credence know,
But others are the reasons, dear Sirs, is that not so?
Too much have you made riches and power your single aim,
Too much have brought our nation to ridicule and shame,
Too much you mocked the language and customs of this race,
That now at last your mocking does but yourselves disgrace,
While self was ever the craving that in your spirits stirred,
Genius? A nonsense. Virtue? But a word.
O, leave in the old chronicles our forefathers to rest;
For they would gaze upon you with irony at best.
Rise once more, o Tepes! Take and divide these men
As lunatics and rogues in two big tribes, and then
In mighty, twin infirmaries by force both tribes intern,
And with a single faggot prison and madhouse burn”.
Traducere în limba engleză de Corneliu M. Popescu (16 mai 1958, București – 4 martie 1977 București)
Le lac (Lacul)
”Les nénuphars jaunes emplissent
Le lac des forêts comme argent;
Il fait se balancer la barque
Et tressaille en cercles blancs.
Je passe tout au long des rives
Et je m’attends à chaque pas
Qu’elle surgisse des roseaux
Et qu’elle tombe dans mes bras.
Nous sauterons dans notre barque
Par la voix des eaux enivrées,
J’abandonnerai le timon,
Laissant les rames m’échapper;
Nous flotterons saisis du charme
Sous cette lune rayonnante –
Le vent bercera les roseaux
Les eaux chanteront ondoyantes!
Mais elle ne vient pas… Tout seul
Je soupire, je souffre en vain,
Les yeux perdus sur mon lac bleu,
Qui de lourds nénuphars est plein.”
Traducere în limba franceză de Veturia Drăgănescu-Vericeanu
El lago (Lacul)
”Los nenúfares dorados
Brillan en el agua zarca;
Ondas blancas estremecen
Una solitaria barca.
Y yo paso por el borde,
Tanto aguardo como acecho,
De entre cañas que ella surja
Y se pegue a mi pecho;
En cadencia de olas
Dulcemente flotaremos,
Ya nos llevará la barca,
Ya no hacen falta remos.
Con su luz la tierna luna
Nos ampliará el encanto,
Las caricias de la brisa
Nos irán acompañando.
Mas no viene… Son quimeras,
Ilusiones que me hago.
Sólo saben cuanto sufro
Los nenúfares del lago.”
Traducere în limba spaniolă de Paul Abucean
Je n’ai qu’un seul désir (Mai am un singur dor)
”Je n’ai qu’un seul désir:
Sous le couchant d’éther
Qu’on me laisse mourir
Près du bord de la mer;
Que mon sommeil soit doux
Et le vieux bois voisin,
Que mon ciel soit serein
Dessus les eaux partout.
Je ne veux pas de drapeaux
Ni un riche cercueil,
Mais seul un lit de feuilles
Fait de jeunes rameaux.
Que personne après moi
Ne pleure à mon chevet,
Seul l’automne m’envoie
Le chant de sa forêt.[…]”
Traducere în limba franceză de Octavian Clement
Sonnet IV (Venice/Veneția)
”Mighty Venice now has fallen low,
One hears no songs, no sound of festive balls;
On steps of marble and through gateways falls
The pallid moon’s unearthly silver glow.
Okeanos there his sorrow calls…
In him alone eternal youth does blow,
Yet on his bride would he his breath bestow,
The waves break plaintively against the walls.
The town is silent as a burial ground;
Only the priests of bygone days remain,
Saint Mark tolls sinister the midnight round;
In sombre tones his slow sibylline strain
He nightly speaks with smooth and cadenced sound;
«The dead, my child, no more come back again».”
Traducere în limba engleză de Corneliu M. Popescu
So duftig (Atât de fragedă)
”Du gleichst der weissen Kirschenbluete,
So duftig bist du, jung und zart;
Mein dunkler Lebenspfad ergluehte
In deiner Engelsgegenwart.
Den weichen Tepich ruehrst du kaum,
Die Seide knistert unterm Tritt;
Vom Kopf bis zu den Sohlen Traum,
Schwebst du im leichten Hauche mit.
Und aus des langen Kleides Falten
Steigst du wie Marmor auf, und gleich
Wird meine Seele aufgehalten
Im Auge glueck – und traenenreich.[…]”
Traducere în limba germană de Konrad Richter
Se avrai (De-aș avea)
”Se avrai per me un fiore
Dritto, dolce, pien’ d’amore,
Come sono quel’ di maggio,
Crystal structures from another source follow:
+++
First-principles (PBE) data for a relaxed BaPaO3 crystal, as listed in the Materials Project.

- VASP energy (Ry per atom) = -0.618
- space-group type = Pm-3m

a = 4.511 Å, b = 4.511 Å, c = 4.511 Å
α = 90.00°, β = 90.00°, γ = 90.00°
Sites, in units of the cell vectors:
Ba: 0.000 0.000 0.000
Pa: 0.500 0.500 0.500
O: 0.000 0.500 0.500
O: 0.500 0.000 0.500
O: 0.500 0.500 0.000

---

First-principles (PBE) data for a relaxed Ba2PrPaO6 crystal, as listed in the Materials Project.

- VASP energy (Ry per atom) = -0.588
- M_tot (Bohr magnetons per cell) = 0.00
- space-group type = Fm-3m

a = 6.415 Å, b = 6.415 Å, c = 6.415 Å
α = 60.00°, β = 60.00°, γ = 60.00°
Sites, in units of the cell vectors:
Ba: 0.250 0.250 0.250
Ba: 0.750 0.750 0.750
Pr: 0.000 0.000 0.000
Pa: 0.500 0.500 0.500
O: 0.260 0.260 0.740
O: 0.260 0.740 0.260
O: 0.260 0.740 0.740
O: 0.740 0.260 0.260
O: 0.740 0.260 0.740
O: 0.740 0.740 0.260

---

First-principles (PBE) data for a relaxed Ba2TmPaO6 crystal, as listed in the Materials Project.

- VASP energy (Ry per atom) = -0.597
- M_tot (Bohr magnetons per cell) = 0.00
- space-group type = Fm-3m

a = 6.228 Å, b = 6.228 Å, c = 6.228 Å
α = 60.00°, β = 60.00°, γ = 60.00°
Sites, in units of the cell vectors:
Ba: 0.250 0.250 0.250
Ba: 0.750 0.750 0.750
Tm: 0.000 0.000 0.000
Pa: 0.500 0.500 0.500
O: 0.252 0.252 0.748
O: 0.252 0.748 0.252
O: 0.252 0.748 0.748
O: 0.748 0.252 0.252
O: 0.748 0.252 0.748
O: 0.748 0.748 0.252

---

First-principles (PBE) data for a relaxed Ba2YPaO6 crystal, as listed in the Materials Project.

- VASP energy (Ry per atom) = -0.608
- space-group type = Fm-3m

a = 6.273 Å, b = 6.273 Å, c = 6.273 Å
α = 60.00°, β = 60.00°, γ = 60.00°
Sites, in units of the cell vectors:
Ba: 0.250 0.250 0.250
Ba: 0.750 0.750 0.750
Y: 0.000 0.000 0.000
Pa: 0.500 0.500 0.500
O: 0.254 0.254 0.746
O: 0.254 0.746 0.254
O: 0.254 0.746 0.746
O: 0.746 0.254 0.254
O: 0.746 0.254 0.746
O: 0.746 0.746 0.254

---

First-principles (PBE) data for a relaxed Ba7Pb17O24 crystal, as listed in the Materials Project.

- VASP energy (Ry per atom) = -0.413
- M_tot (Bohr magnetons per cell) = 0.02
- space-group type = Pm

a = 7.934 Å, b = 19.089 Å, c = 8.025 Å
α = 90.00°, β = 118.90°, γ = 90.00°
Sites, in units of the cell vectors:
Ba: 0.000 0.000 0.000
Ba: 0.000 0.331 0.009
Ba: 0.000 0.669 0.009
Ba: 0.666 0.500 0.302
Ba: 0.668 0.500 0.794
Ba: 0.669 0.166 0.335
Ba: 0.669 0.834 0.335
Pb: 0.144 0.500 0.813
Pb: 0.152 0.167 0.828
Pb: 0.152 0.833 0.828
Pb: 0.165 0.165 0.318
Pb: 0.165 0.500 0.311
Pb: 0.165 0.835 0.318
Pb: 0.494 0.000 0.484
Pb: 0.497 0.330 0.488
Pb: 0.497 0.670 0.488
Pb: 0.516 0.000 0.019
Pb: 0.519 0.330 0.020
Pb: 0.519 0.670 0.020
Pb: 0.682 0.166 0.851
Pb: 0.682 0.834 0.851
Pb: 0.985 0.334 0.510
Pb: 0.985 0.666 0.510
Pb: 0.988 0.000 0.506
O: 0.003 0.166 0.001
O: 0.003 0.834 0.001
O: 0.023 0.500 0.005
O: 0.327 0.250 0.271
O: 0.327 0.750 0.271
O: 0.335 0.083 0.270
O: 0.335 0.917 0.270
O: 0.354 0.418 0.294
O: 0.354 0.582 0.294
O: 0.668 0.327 0.338
+++
Figlie dolci di un saggio,
Di quel’ pratto soridende,
Verde, dondole, perdente,
Ondegiando pian’ piano,
Sospirando ogni tanto. […]”
Traducere în limba italiană de Cătălin Găbureanu
Why do you wail o forest trees… (Ce te legeni…)
Traducere în limba engleză de Corneliu M. Popescu
La steaua
Traducere în limba arabă de Hazem Shamma
Pe logo-ul rubricii ”Mihai Eminescu – 170”, portret de Adina Romanescu, 2012